Book #1—-Matthew Chp. 10

Chapter 10

Verses 1-4 Read the Bible verses

This is a list of the 12 disciples. A disciple is a person who learns from another.

Jesus gave the 12 disciples power to cast out evil spirits and to heal.

Chapter 10 verses 5-15 Read the Bible verses

Calculated molecules that have nothing to do with the text.
____________
1.
Formula: H4INP2
Source: OMol25
Level of theory: ωB97M-V/def2-TZVPD

Its energy above the lowest of the compared OMol25 structures with the same formula, charge and spin is 28.4 kcal/mol. The structure (SMILES) is [PH2]#[PH]NI. The calculation puts the HOMO-LUMO gap at 6.6 eV. The total charge is 0.

Geometry (Å):
P  1.7747  0.3830  0.2395
P  -0.2721  0.3732  -0.5523
N  -0.8308  -0.8119  0.5567
I  -3.1568  -1.0722  0.7693
H  1.9891  -0.2021  -0.9447
H  2.1037  1.7009  -0.3386
H  -1.1351  1.3008  0.0718
H  -0.4726  -1.6717  0.1983

natural (NBO) population analysis, charges in e, atoms 1 to 5:
1. P 0.024
2. P 0.459
3. N -0.995
4. I 0.200
5. H -0.022



2.
Formula: H4IO2
Source: OMol25
Level of theory: ωB97M-V/def2-TZVPD

Its energy above the lowest of the compared OMol25 structures with the same formula, charge and spin is 13.5 kcal/mol. The calculation puts the HOMO-LUMO gap at 7.7 eV. The total charge is -1.

Geometry (Å):
I  1.5087  -0.5163  -1.0986
O  1.4267  0.3597  2.5324
H  1.6967  0.3057  1.5334
H  0.6667  1.1167  2.5964
O  -1.9363  -0.4733  -1.5466
H  -2.4113  -0.4983  -2.3906
H  -0.9513  -0.2943  -1.6266

natural (NBO) population analysis, charges in e, atoms 1 to 5:
1. I -0.935
2. O -0.993
3. H 0.512
4. H 0.458
5. O -1.006



3.
Formula: H4N2O2
Source: OMol25
Level of theory: ωB97M-V/def2-TZVPD

Its energy above the lowest of the compared OMol25 structures with the same formula, charge and spin is 27.5 kcal/mol. The structure (SMILES) is N=O.NO. The calculation puts the HOMO-LUMO gap at 9.2 eV. The total charge is 0.

Geometry (Å):
N  -1.3007  -0.6239  -1.2515
O  -1.5344  0.4818  -0.9483
H  -0.4473  -0.9477  -0.7375
N  1.5599  0.6619  0.7623
O  0.9121  -0.5445  1.2044
H  2.5440  0.3467  0.4720
H  0.9778  0.9836  -0.0190
H  0.0893  -0.1475  1.6603

natural (NBO) population analysis, charges in e, atoms 1 to 5:
1. N 0.000
2. O -0.261
3. H 0.259
4. N -0.545
5. O -0.605



4.
Formula: H4N2O2P
Source: OMol25
Level of theory: ωB97M-V/def2-TZVPD

Its energy above the lowest of the compared OMol25 structures with the same formula, charge and spin is 102.9 kcal/mol. The calculation puts the HOMO-LUMO gap (alpha / beta) at 6.0 / 6.5 eV. The total charge is -1.

Geometry (Å):
N  0.2090  2.9660  -0.5173
N  0.4115  1.6469  -0.4927
O  0.6782  -0.8147  0.0102
O  -1.2405  -3.0656  0.2893
P  0.7781  0.5346  0.6804
H  0.2479  3.2931  0.4537
H  -0.7109  -2.2719  0.0619
H  0.3283  1.2310  -1.4251
H  -0.7016  -3.5193  0.9395

natural (NBO) population analysis, charges in e, atoms 1 to 5:
1. N -0.738
2. N -0.673
3. O -1.213
4. O -0.985
5. P 0.993



5.
Formula: H4N2O2P
Source: OMol25
Level of theory: ωB97M-V/def2-TZVPD

Its energy above the lowest of the compared OMol25 structures with the same formula, charge and spin is 77.5 kcal/mol. The structure (SMILES) is NN[P@H](=O)[O-]. The calculation puts the HOMO-LUMO gap at 9.6 eV. The total charge is -1.

Geometry (Å):
N  1.1564  -0.0591  -0.4662
N  -0.2940  0.9108  -0.3130
P  -1.6156  -0.0902  0.1284
____________

Jesus told them to go and to preach only to the Jews—the people of Israel. Later they would go to the Gentiles (not Jews).

Jesus told them not to carry “extra” coat, sandals, or money. They were to let the people they preached to feed them and give them a place to sleep. Jesus said the ones who work have a right to be taken care of.

We need to understand that for today, too. If a man gives his life to preach and help people learn about God, he has a right to be taken care of. He should be given enough money in offerings to be able to live on it and take care of his family. Many preachers do not get enough money in offerings to live. Then they feel that they have to go get a job. Church then has second place in his time. That is not the way Jesus said it should be.

Sometimes people do not know how churches are run. Preachers are not paid by the government. If they do not get money in offerings to pay them a salary and to pay the bills of the church –who is going to pay?

If there is not enough money to pay the bills and to pay the preacher’s salary, there will not be a church there. It will have to close.

These disciples were the first missionaries. They were to go with faith that their needs would be met. The people that they preached to were to be the ones to support them.




Chapter 10 verses 16-42 Read the Bible verses

Jesus told them that some hard things would happen to them when they went out. He told them to watch. Be watchful like a snake, but be gentle like a dove.

He said that if they were stopped and taken to jail for preaching, or taken before the city leaders, that they were not to worry. God would show them what to say.

Verse 21

Jesus told them that people in a family will make trouble for other people in their own family.

He said if you have trouble in a town and they do not want to hear what you say—then move on to another town.

Verse 24

Jesus told the disciples that as followers of Jesus they will have people talk against them. If Jesus was called “Prince of Demons”, they would call the disciples names and speak against them, too.

Much of what is said in these verses would be true in the future. After Jesus left and went back to heaven, the disciples would go to many towns preaching. Then they would understand these things that Jesus said.

Jesus said in a future time–everything that is done now in secret will be shown.

Verse 28

Don’t be afraid of people who want to kill you. Your body may die, but your spirit will go to heaven.

Your heavenly father knows when a sparrow (bird) falls. You are more important than many sparrows.

God knows how many hairs are on your head!

Jesus is trying to tell us that God knows everything about us. He is watching and He cares.

If we say we don’t know Jesus, or say that we are not a Christian—-while we are here on earth—then when we get to heaven—Jesus will say He does not know us.

We may have a time in the future where Christians will suffer because others do not like Christians. If we say we are not Christians so we can get out of suffering or not be killed, then Jesus says that when we die, He will say he does not know us.

Verse 34

Jesus said, “Don’t think I came to bring peace on earth, I came to bring a sword.”

He said, “I will set families against each other.” “If you choose your family before you choose Me, you are not worthy to be my child.”

Jesus knew that many people would not believe that he was God. He knew that they would be against people who did believe. Jesus knew that this would make people divided. Some would be on one side and some on the other. Even in families people some would believe and some would not.

The people who did not believe would make life hard for those who followed Jesus’ teachings.

Jesus tells them not to let the trouble make them stop believing. You have to keep believing if you want Jesus to receive you in heaven.

Jesus said, “Don’t give up. Keep being strong through the trouble–even if they kill you.”

Take your cross (trouble) and follow Jesus.

Jesus said, “If you make saving this life more important than choosing Me, you will lose eternal life.”

“If you give up your life for Me, you will find eternal life.”

Verse 40

Jesus said, “Anyone who receives you as my follower, also receives Me.”

“If you receive a prophet as from God, then God will reward you like a prophet.”